Fats in the diet breakdown and form ketones in the body when the body uses fats as a source of energy – therefore, the name of the diet is ketogenic diet. A dietician supervises the diet and monitors the child’s nutrition – whereas a paediatric neurologist monitors medication and overall health status of the child. The dietician also instructs the parents and child what can and cannot be eaten. The diet should also provide adequate vitamins and minerals. Other sources of carbohydrates cannot be eaten. This is how a ketogenic diet works.
Ketogenic Diet in Epilepsy
A paediatric neurologist recommends a ketogenic diet for children with epilepsy who didn’t respond well to medication. A dietician monitors the diet carefully. In general, paediatric neurologist usually prescribe a ketogenic diet to those children in whom seizures have not responded to different types of anti-epileptic drugs (AEDs).
-- These data records were left in the piece by mistake --
┌──
# C62H63AlCl2NOP2Si

A molecular structure, C62H63AlCl2NOP2Si (ωB97M-V/def2-TZVPD, OMol25).

Results
Lowest unoccupied orbital energy   -0.085 Ha
Charge   +1
Energy above the lowest of the compared OMol25 structures with the same formula, charge and spin   0.0 kcal per mole
E_HOMO   -10.48 eV
HOMO-LUMO gap   0.29996 hartree

Structure (XYZ):
```
133
Properties=species:S:1:pos:R:3:lowdin_charge:R:1
Al 0.20434 -0.12957 0.23892 0.165
C 0.03275 0.26361 2.15271 -0.289
Si 1.62200 0.81279 2.84459 0.606
C 2.81873 0.00438 1.64156 -0.187
N 2.37634 0.03557 0.21057 -0.194
C 2.89464 1.28027 -0.46457 -0.188
C 4.22574 1.10408 -1.19461 -0.158
C 5.16969 0.13786 -0.50018 -0.176
C 4.49041 -1.23053 -0.35227 -0.151
C 2.96887 -1.15477 -0.47402 -0.180
C 1.77051 2.67016 2.96557 -0.259
C 2.99848 3.32948 2.86333 -0.096
C 3.10962 4.69043 3.11052 -0.077
C 1.99032 5.42037 3.48389 -0.078
C 0.76259 4.78465 3.60937 -0.088
C 0.65541 3.42436 3.34516 -0.107
C 2.01797 0.10972 4.52722 -0.227
C 2.14350 0.92397 5.65456 -0.082
C 2.39994 0.37960 6.90697 -0.078
C 2.53738 -0.99105 7.05284 -0.083
C 2.41324 -1.82106 5.94676 -0.082
C 2.15431 -1.27280 4.70058 -0.099
H -0.79198 0.90116 2.46612 -0.005
H -0.14760 -0.73384 2.56487 0.038
H 2.82732 -1.04709 1.94161 0.095
H 3.84913 0.34985 1.72855 0.092
H 2.97315 2.04682 0.30770 0.095
H 2.15057 1.63369 -1.17439 0.034
H 4.67616 2.09257 -1.30176 0.125
H 4.03818 0.74582 -2.20814 0.091
H 5.45423 0.53379 0.47657 0.104
H 6.09486 0.04832 -1.06929 0.114
H 4.76978 -1.68676 0.59819 0.111
H 4.83245 -1.91647 -1.13067 0.118
H 2.50109 -2.04455 -0.05746 0.098
H 2.66132 -1.10693 -1.51302 0.085
H 3.89228 2.77372 2.60205 0.104
H 4.07031 5.18033 3.02188 0.108
H 2.07687 6.47918 3.68697 0.107
H -0.11167 5.34629 3.91529 0.107
H -0.31242 2.94825 3.45226 0.094
H 2.04779 1.99826 5.55865 0.097
H 2.49542 1.02763 7.76801 0.105
H 2.74070 -1.41499 8.02708 0.105
H 2.51715 -2.89227 6.05749 0.104
H 2.04507 -1.94363 3.85497 0.092
O -2.80543 0.18024 -2.45749 -0.019
C -2.49900 0.29489 -3.78452 -0.245
C -3.41029 0.60783 -4.79018 -0.014
C -2.99130 0.64975 -6.11037 -0.054
C -1.66998 0.39578 -6.44480 -0.061
C -0.76082 0.17545 -5.42848 -0.071
C -1.15270 0.15069 -4.09171 -0.278
P 0.21306 0.11713 -2.85295 1.140
C 1.02193 -1.42822 -3.42974 -0.361
C 2.31901 -1.61924 -3.89491 -0.100
C 2.74198 -2.86812 -4.33478 -0.066
C 1.87229 -3.94477 -4.32106 -0.071
C 0.57974 -3.77081 -3.84418 -0.074
C 0.16316 -2.53042 -3.39654 -0.102
C 1.04374 1.62559 -3.50382 -0.371
C 2.30050 1.75756 -4.07972 -0.091
C 2.74488 2.99206 -4.54673 -0.063
C 1.93406 4.10752 -4.46177 -0.081
C 0.66209 3.98456 -3.91439 -0.094
C 0.22709 2.76241 -3.44177 -0.156
C -4.04594 -0.05874 -1.92842 -0.242
C -5.18182 -0.41458 -2.65158 -0.013
C -6.39497 -0.55219 -1.99521 -0.055
C -6.49612 -0.34726 -0.62705 -0.062
C -5.34382 -0.07858 0.08601 -0.076
C -4.10620 0.03637 -0.54554 -0.297
P -2.61889 0.16667 0.51271 1.126
C -2.95337 -1.28395 1.60144 -0.330
C -3.46084 -2.41977 0.96492 -0.096
C -3.74212 -3.57260 1.67802 -0.082
└──
According to several research studies, a ketogenic diet has been shown to be effective against some epileptic conditions in children. Dietary therapy works better for some infants as well.
What is a ketogenic diet in Epilepsy?
A ketogenic diet is high-fat, low-carbohydrate diet. This diet includes 3 to 4 grams of fat (long-chain triglyceride) for 1 gram of carbohydrate and protein. This diet provides around 90% of calories from fat. It is a classical ketogenic diet to control seizures in some children with epilepsy. For instance, if a child consumes 1500 calories as a regular diet, then he or she will get the same 1500 calorie ketogenic diet. A Dietician prescribes this diet according to bodyweight based on a ketogenic ratio. It is a ratio of fat to carbohydrate and protein combined – which is either 4:1 or 3:1. Dieticians recommend 3:1 ratio for infants and 4:1 for children. The fatty foods in the diet include butter, oils (olive or canola), mayonnaise, cream, etc. Careful preparation of meals is important.
Bottom Line
The diet is there since the 1920s when it was first formulated. Children who are on the Ketogenic diet can notice a big drop in the number of seizures they have. In some children, seizures may stop as well. It helps with different types of seizures including myoclonic and others. Certain types of epileptic conditions in both children and adults respond well to the ketogenic diet.
Paediatric neurologists usually recommend this diet when one or two or a combination of antiepileptic drugs haven’t worked. Ketogenic Diet in Epilepsy for Children is demanding. The diet provides significant results when followed under the guidance and supervision of an experienced dietician and epilepsy specialist.
The ketogenic diet works as children and infants who have it can lower their medication doses – and in some cases, stop taking them as well. It has also been seen that kids who were on for keto diet for at least one or two years have become seizure-free and went back to normal eating afterwards.
Next Article – FAQs on Ketogenic Diet – coming soon…